_Request_
Your job: give back only the lines underneath with the word "de_lowest_ev" in them.

_Source_
<<<
Entry 1:
30
Properties=species:S:1:pos:R:3 method="wB97M-V/def2-TZVPD" spin_multiplicity=1 charge=0 lumo_energy_ev=-0.9 de_lowest_ev=1.577
C 1.88 -2.82 0.41
C 1.51 -1.94 1.14
C 1.09 -0.82 1.99
C 0.07 0.04 1.29
C 0.34 1.15 0.60
C 1.70 1.73 0.37
C 2.48 1.08 -0.80
C 1.68 0.17 -1.72
Cl 0.64 1.14 -2.82
C -0.84 1.91 0.04
O -0.85 3.12 0.01
C -1.99 1.09 -0.39
C -2.25 -0.04 0.27
C -3.34 -0.99 -0.04
C -3.58 -1.36 -1.30
C -1.36 -0.37 1.43
O -1.78 -0.91 2.43
H 2.34 -3.62 -0.12
H 0.63 -1.25 2.88
H 1.97 -0.25 2.27
H 2.27 1.62 1.29
H 1.61 2.81 0.22
H 3.36 0.54 -0.44
H 2.87 1.89 -1.42
H 1.06 -0.55 -1.19
H 2.36 -0.39 -2.36
H -2.61 1.42 -1.22
H -3.92 -1.38 0.78
H -4.28 -2.15 -1.52
H -3.06 -0.87 -2.12

Entry 2:
20
Properties=species:S:1:pos:R:3 method="wB97M-V/def2-TZVPD" spin_multiplicity=1 charge=0 lumo_energy_ev=0.8 de_lowest_ev=7.240
C 1.11 1.72 -0.88
C -1.85 -1.30 0.54
N 1.47 0.52 -0.16
N -1.20 0.00 0.49
C 0.42 0.49 -1.28
C -0.08 0.29 1.37
C 0.07 -0.23 -2.33
O 2.61 0.19 0.52
N 0.54 -0.55 2.14
H 2.23 -0.32 1.29
H -1.86 0.76 0.41
H 0.42 -1.53 1.88
H 1.88 2.12 -1.53
H 0.59 2.50 -0.31
H -0.11 1.33 1.68
H -1.10 -2.08 0.39
H -2.30 -1.49 1.52
H -2.62 -1.35 -0.23
H 0.09 -1.31 -2.31
H -0.34 0.26 -3.20

Entry 3:
73
Properties=species:S:1:pos:R:3 method="wB97M-V/def2-TZVPD" spin_multiplicity=4 charge=-2 lumo_energy_ev="4.0 / 4.0" de_lowest_ev=0.167
V -1.64 -1.03 -0.79
S -2.87 -3.23 2.80
C -3.78 -2.73 1.41
S -3.53 -1.14 0.62
S -5.04 -3.58 0.77
C 0.11 -4.52 0.98
C -0.57 -3.52 0.13
N -0.73 -2.32 0.53
O -0.40 -2.07 1.84
C -1.03 -3.81 -1.17
C -1.12 -5.13 -1.85
N -1.50 -2.81 -1.89
O -1.90 -3.07 -3.08
H 1.14 -4.25 1.26
H 0.14 -5.48 0.47
H -0.47 -4.71 1.87
H -1.21 -2.40 2.37
H -0.75 -4.98 -2.86
H -2.20 -5.35 -2.05
H -0.70 -5.96 -1.32
O 4.54 1.02 0.96
S 3.31 0.22 1.30
C 3.73 -0.60 2.89
C 4.80 -0.12 3.60
C 5.19 -0.72 4.77
C 4.54 -1.88 5.17
C 3.42 -2.35 4.50
C 3.01 -1.68 3.33
C 2.03 1.39 1.88
C 2.27 2.74 1.75
C 1.22 3.60 2.04
C -0.01 3.09 2.39
C -0.27 1.71 2.44
C 0.79 0.86 2.11
H 5.29 0.77 3.25
H 5.96 -0.24 5.39
H 4.85 -2.40 6.07
H 2.88 -3.19 4.88
H 2.09 -1.95 2.84
H 3.27 3.06 1.44
H 1.34 4.69 1.96
H -0.81 3.78 2.61
H -1.24 1.30 2.60
H 0.58 -0.19 2.14
O 0.17 -0.21 -1.39
C -0.27 0.92 -1.01
O -1.29 0.92 -0.29
C 0.33 2.16 -1.61
C 1.35 2.01 -2.52
C 1.98 3.20 -2.90
C 1.59 4.46 -2.45
C 0.43 4.56 -1.64
C -0.20 3.38 -1.26
N 0.08 5.83 -1.12
O 0.76 6.86 -1.48
O -0.83 5.93 -0.23
H 1.74 1.05 -2.81
H 2.84 3.13 -3.56
H 2.12 5.37 -2.69
H -1.10 3.41 -0.63
C -4.30 1.06 -3.64
C -3.51 -0.02 -4.44
C -2.22 -0.05 -3.67
O -2.68 -0.07 -2.31
C -3.77 0.90 -2.20
H -5.35 0.89 -3.69
H -4.07 2.07 -4.06
H -3.39 0.18 -5.51
H -4.08 -0.94 -4.33
H -1.65 0.84 -3.83
H -1.60 -0.94 -3.81
H -3.34 1.85 -1.79
H -4.50 0.45 -1.51

Entry 4:
12
Properties=species:S:1:pos:R:3 method="wB97M-V/def2-TZVPD" spin_multiplicity=1 charge=+1 lumo_energy_ev=-5.0 de_lowest_ev=5.878
C -0.03 -1.60 -1.17
C -2.04 -0.30 0.85
C 2.08 1.43 -0.09
N 0.17 0.27 0.86
N 0.49 -0.69 -1.63
N -0.86 -0.21 0.46
N 0.99 0.95 0.36
H -0.38 -2.58 -0.95
H -2.60 0.45 1.49
H -2.59 -1.12 0.55
H 2.43 0.96 -0.93
H 2.34 2.43 0.19

Entry 5:
63
Properties=species:S:1:pos:R:3 method="wB97M-V/def2-TZVPD" spin_multiplicity=1 charge=+2 lumo_energy_ev=-5.8 de_lowest_ev=2.723
Zn 0.89 0.63 -0.30
K -2.15 -2.51 -2.23
F -0.33 -0.92 -0.66
O -1.24 3.06 -3.66
S -0.93 1.80 -2.93
O -0.10 1.66 -1.76
O -2.39 1.07 -2.60
C -3.42 1.27 -3.44
C -4.55 0.26 -3.21
C -0.26 0.63 -4.25
H -3.18 1.47 -4.48
H -3.75 2.29 -3.22
H -5.36 0.61 -3.85
H -4.81 0.23 -2.15
H -4.21 -0.72 -3.56
H 0.55 1.22 -4.68
H -1.03 0.62 -5.02
H -0.07 -0.34 -3.79
>>>

_Done_
Properties=species:S:1:pos:R:3 method="wB97M-V/def2-TZVPD" spin_multiplicity=1 charge=0 lumo_energy_ev=-0.9 de_lowest_ev=1.577
Properties=species:S:1:pos:R:3 method="wB97M-V/def2-TZVPD" spin_multiplicity=1 charge=0 lumo_energy_ev=0.8 de_lowest_ev=7.240
Properties=species:S:1:pos:R:3 method="wB97M-V/def2-TZVPD" spin_multiplicity=4 charge=-2 lumo_energy_ev="4.0 / 4.0" de_lowest_ev=0.167
Properties=species:S:1:pos:R:3 method="wB97M-V/def2-TZVPD" spin_multiplicity=1 charge=+1 lumo_energy_ev=-5.0 de_lowest_ev=5.878
Properties=species:S:1:pos:R:3 method="wB97M-V/def2-TZVPD" spin_multiplicity=1 charge=+2 lumo_energy_ev=-5.8 de_lowest_ev=2.723